********
Formula: C3H10NOP
Source: the Open Molecules 2025 dataset
Level of theory: ωB97M-V with the def2-TZVPD basis set

Geometry (Å):
C: 0.84641 1.28207 0.29726
N: 0.14493 0.33651 -0.47000
C: 0.68735 0.22409 -1.81541
P: -0.29837 -1.11544 0.27395
C: -1.51489 -0.65568 1.55802
O: 0.85647 -2.01860 0.47075
H: 0.93080 0.91994 1.23838
H: 1.88335 1.54728 -0.00361
H: 0.31592 2.31344 0.33433
H: 0.22301 -0.37208 -2.51754
H: 0.81226 1.18986 -2.41620
H: 1.74394 -0.38278 -1.76079
H: -1.30123 -1.62835 -0.76047
H: -1.15386 -0.63917 2.66027
H: -1.87226 0.27684 1.40669
H: -2.30382 -1.27793 1.50438

Computed properties:
Highest occupied orbital energy   -9.11 eV
Energy relative to the best compared isomer or geometry (same formula, charge and spin)   163.5 kJ/mol
SMILES string   CN(C)[P@H](C)=O
Energy   -16098.81199 eV
Gap between HOMO and LUMO   10.04 eV
Lowest unoccupied orbital energy   0.034 hartree
M   107.093 u

Quick look at the Löwdin charges, all values in e:
1. C -0.1719
2. N -0.3923
3. C -0.1588
4. P 0.6120
5. C -0.1792
6. O -0.3724
7. H 0.0294
8. H 0.0971
9. H 0.1146
10. H 0.0223
11. H 0.1058
12. H 0.1338
13. H 0.0691
14. H 0.1001
15. H 0.0002
16. H -0.0097

Formula: C4H35NO14
Source: the Open Molecules 2025 dataset
Level of theory: ωB97M-V with the def2-TZVPD basis set

Geometry (Å):
N: -3.13301 -0.13065 0.34908
C: -1.84820 -0.24689 0.96799
C: -1.89959 -0.81524 2.21447
C: 0.48762 0.52460 0.93141
C: -0.58663 0.08600 0.28042
H: -3.05162 0.46709 -0.45818
H: -3.90610 0.16507 0.91426
H: -0.96877 -1.25934 2.62138
H: -2.85099 -1.09511 2.64023
H: 1.45429 0.72029 0.53070
H: 0.53933 0.70886 1.99127
H: -0.68584 0.03313 -0.82145
H: -3.67904 -1.68708 -1.09669
H: -2.69890 -2.21277 -2.17940
O: -3.20605 -2.47480 -1.40885
H: 1.39126 -2.34868 -0.73620
H: 1.88784 -1.05059 -1.52779
O: 1.71943 -2.00569 -1.59571
H: -0.35691 2.51670 1.33943
H: -1.66666 3.07368 1.55686
O: -1.12466 2.79463 0.78502
H: -0.21049 -3.26319 0.32454
H: 1.17342 -3.86157 0.84290
O: 0.73742 -3.02398 0.62297
H: -0.30368 3.26260 -0.67917
H: 0.44796 3.89575 -1.95822
O: 0.43856 3.15642 -1.33648
H: 1.44733 -1.81925 -3.43760
H: 1.15850 -0.38771 -3.01367
O: 1.22797 -0.95219 -3.78124
H: -0.48125 1.76591 -2.03159
H: 0.07596 1.37388 -3.45804
O: -0.75746 1.55173 -2.95237
H: 1.51171 -2.13243 1.75496
H: 2.56795 -1.16887 1.63321
O: 2.15521 -1.67147 2.36664
H: 1.76152 1.63192 3.32646
H: 2.96818 2.46828 3.21409
O: 2.14303 2.32486 2.73262
H: 0.19880 0.54931 4.25118
H: 1.30618 -0.21830 3.78117
O: 1.16192 0.52019 4.41567
H: 1.95897 2.84247 -0.35858
H: 3.27973 2.72350 0.57526
O: 2.92360 2.74093 -0.31202
H: -1.99684 -2.61292 0.59606
H: -2.18240 -3.89131 -0.26634
O: -1.72117 -3.53896 0.49800
H: 2.81597 0.98231 -2.44964
H: 2.49598 1.22459 -1.02077
O: 2.21650 0.64936 -1.77168
H: -2.33818 0.47353 -2.90859
H: -1.57367 -0.86066 -3.38936
O: -2.42406 -0.49795 -3.10861

Computed properties:
Highest occupied orbital energy (alpha / beta)   -0.60 / -4.20 eV
Energy relative to the best compared isomer or geometry (same formula, charge and spin)   0.0 kJ/mol
Multiplicity   2
Energy   -34870.66512 eV
Gap between HOMO and LUMO (alpha / beta)   3.28 / 6.81 eV
Lowest unoccupied orbital energy (alpha / beta)   0.098 / 0.096 hartree
Total charge   -1
M   321.317 u

Quick look at the Löwdin charges, all values in e:
1. N 0.0471
2. C -0.4654
3. C -0.0667
4. C -0.1176
5. C -0.1882
6. H 0.0628
7. H 0.0658
8. H 0.0403
9. H 0.0142
10. H 0.0140
11. H 0.0064
12. H 0.0929
13. H 0.0189
14. H 0.0080
15. O -0.0865
16. H -0.0094
17. H -0.0114
18. O -0.1060
19. H 0.0355
20. H 0.0671
21. O -0.1158
22. H 0.0414
23. H 0.0851
24. O -0.1029
25. H 0.0411
26. H 0.0785
27. O -0.0892
28. H 0.0116
29. H -0.0387
30. O -0.0845
31. H 0.0114
32. H 0.0621
33. O -0.1037
34. H -0.0072
35. H 0.0408
36. O -0.1098
37. H -0.0229
38. H 0.0337
39. O -0.1029
40. H 0.0464
41. H 0.0292
42. O -0.0910
43. H 0.0039
44. H 0.0360
45. O -0.0691
46. H 0.0256
47. H 0.0451
48. O -0.0517
49. H 0.0777
50. H 0.0120
51. O -0.0873
52. H 0.0400
53. H 0.0320
54. O -0.0989
********
Now write out the lines further up from the one with "-3.67904 -1.68708" to the one with "0.0337" without additions.
H: -3.67904 -1.68708 -1.09669
H: -2.69890 -2.21277 -2.17940
O: -3.20605 -2.47480 -1.40885
H: 1.39126 -2.34868 -0.73620
H: 1.88784 -1.05059 -1.52779
O: 1.71943 -2.00569 -1.59571
H: -0.35691 2.51670 1.33943
H: -1.66666 3.07368 1.55686
O: -1.12466 2.79463 0.78502
H: -0.21049 -3.26319 0.32454
H: 1.17342 -3.86157 0.84290
O: 0.73742 -3.02398 0.62297
H: -0.30368 3.26260 -0.67917
H: 0.44796 3.89575 -1.95822
O: 0.43856 3.15642 -1.33648
H: 1.44733 -1.81925 -3.43760
H: 1.15850 -0.38771 -3.01367
O: 1.22797 -0.95219 -3.78124
H: -0.48125 1.76591 -2.03159
H: 0.07596 1.37388 -3.45804
O: -0.75746 1.55173 -2.95237
H: 1.51171 -2.13243 1.75496
H: 2.56795 -1.16887 1.63321
O: 2.15521 -1.67147 2.36664
H: 1.76152 1.63192 3.32646
H: 2.96818 2.46828 3.21409
O: 2.14303 2.32486 2.73262
H: 0.19880 0.54931 4.25118
H: 1.30618 -0.21830 3.78117
O: 1.16192 0.52019 4.41567
H: 1.95897 2.84247 -0.35858
H: 3.27973 2.72350 0.57526
O: 2.92360 2.74093 -0.31202
H: -1.99684 -2.61292 0.59606
H: -2.18240 -3.89131 -0.26634
O: -1.72117 -3.53896 0.49800
H: 2.81597 0.98231 -2.44964
H: 2.49598 1.22459 -1.02077
O: 2.21650 0.64936 -1.77168
H: -2.33818 0.47353 -2.90859
H: -1.57367 -0.86066 -3.38936
O: -2.42406 -0.49795 -3.10861

Computed properties:
Highest occupied orbital energy (alpha / beta)   -0.60 / -4.20 eV
Energy relative to the best compared isomer or geometry (same formula, charge and spin)   0.0 kJ/mol
Multiplicity   2
Energy   -34870.66512 eV
Gap between HOMO and LUMO (alpha / beta)   3.28 / 6.81 eV
Lowest unoccupied orbital energy (alpha / beta)   0.098 / 0.096 hartree
Total charge   -1
M   321.317 u

Quick look at the Löwdin charges, all values in e:
1. N 0.0471
2. C -0.4654
3. C -0.0667
4. C -0.1176
5. C -0.1882
6. H 0.0628
7. H 0.0658
8. H 0.0403
9. H 0.0142
10. H 0.0140
11. H 0.0064
12. H 0.0929
13. H 0.0189
14. H 0.0080
15. O -0.0865
16. H -0.0094
17. H -0.0114
18. O -0.1060
19. H 0.0355
20. H 0.0671
21. O -0.1158
22. H 0.0414
23. H 0.0851
24. O -0.1029
25. H 0.0411
26. H 0.0785
27. O -0.0892
28. H 0.0116
29. H -0.0387
30. O -0.0845
31. H 0.0114
32. H 0.0621
33. O -0.1037
34. H -0.0072
35. H 0.0408
36. O -0.1098
37. H -0.0229
38. H 0.0337